

power of attorney to Lee Wan-Yong signed and sealed by the last
emperor, Sunjong of Korean Empire upon compulsion. Traditionally, the
Korean monarch did not sign official documents with his name. In the
situation which Japan held hegomony in Korea, the Korean Emperor was
forced to follow new Japanese customs.

- - -
{"formula": "Te6Mo3WSe2", "functional": "PBE", "state": "relaxed", "e_above_lowest_polymorph_ev_per_fu": 0.226, "magnetic_moment_mub_per_fu": 0.00, "sg": "P3m1", "ef_ev_per_fu": -4.601, "e_tot_ev_per_cell": -75.00, "cell": [[3.497, 0.000, 0.000], [-1.749, 3.029, 0.000], [0.000, 0.000, 39.569]], "species": ["Te", "Te", "Te", "Te", "Te", "Te", "Mo", "Mo", "Mo", "W", "Se", "Se"], "fractional_positions": [[0.000, 0.000, 0.000], [0.000, 0.000, 0.093], [0.000, 0.000, 0.376], [0.000, 0.000, 0.469], [0.333, 0.667, 0.188], [0.333, 0.667, 0.280], [0.000, 0.000, 0.234], [0.000, 0.000, 0.858], [0.333, 0.667, 0.046], [0.333, 0.667, 0.422], [0.333, 0.667, 0.818], [0.333, 0.667, 0.899]]}


No. 1
The following is a DFT calculation (PBE+U) of an optimized crystal structure of Sr20V15O49.

total magnetization = 17.002 μB per cell
DFT total energy = -600.745 eV per cell
V = 1091.5 Å³/cell
symmetry = I4 (79)

Cell: 15.4775 15.4775 15.4775 Å, 147.07 147.07 47.26°
With the nearest neighbours (Å) after each atom.
Fractional positions:
Sr  0.1721  0.7585  0.7942  11 O 2.67-2.80
O  0.2117  0.2117  0.0000  1 V 1.77
O  0.0161  0.8127  0.4107  1 V 1.99
O  0.2715  0.1602  0.7055  2 V 1.91-2.03
Sr  0.7585  0.9643  0.5864  11 O 2.67-2.80
O  0.7873  0.7873  0.0000  1 V 2.03
V  0.7992  0.5989  0.3981  5 O 1.87-1.98
Sr  0.7023  0.7023  0.0000  5 O 2.41-2.67
O  0.1602  0.4547  0.8887  2 V 1.91-2.03
O  0.0396  0.9423  0.7132  2 V 1.93-2.03
Sr  0.4327  0.4327  0.0000  12 O 2.73-2.84
Sr  0.5109  0.3053  0.4117  6 O 2.49-2.77
V  0.5359  0.9383  0.1960  6 O 1.90-2.04
Sr  0.4959  0.6968  0.5986  7 O 2.50-2.79
O  0.1371  0.6371  0.5000  2 V 1.98
O  0.9656  0.0643  0.3071  2 V 1.90-2.00
O  0.5336  0.4405  0.6969  2 V 1.90-2.03
O  0.3264  0.0396  0.0973  2 V 1.93-2.03
O  0.4405  0.7437  0.9070  2 V 1.90-2.03
O  0.0995  0.1914  0.2808  1 V 1.87
O  0.7381  0.5452  0.4153  1 V 1.87
V  0.4011  0.7992  0.2003  5 O 1.87-1.98
V  0.5989  0.2007  0.7997  5 O 1.87-1.98
Sr  0.2418  0.0333  0.4133  12 O 2.71-2.93
O  0.9423  0.2291  0.9027  2 V 1.93-2.03
V  0.0593  0.2571  0.5972  6 O 1.90-2.11
Sr  0.3779  0.1721  0.4136  11 O 2.67-2.80
Sr  0.0982  0.8974  0.4014  7 O 2.50-2.79
O  0.8624  0.3624  0.5000  2 V 1.97
O  0.0006  0.5006  0.5000  2 V 1.96
O  0.9927  0.1892  0.6020  1 V 1.98
V  0.7423  0.3398  0.8040  6 O 1.90-2.04
V  0.4621  0.0593  0.8022  6 O 1.90-2.11
O  0.6654  0.2689  0.7998  2 V 1.91-2.04
Sr  0.8974  0.4959  0.7991  7 O 2.50-2.79
O  0.5872  0.3907  0.3980  1 V 1.98
Sr  0.8285  0.2418  0.2084  12 O 2.71-2.93
O  0.7572  0.6584  0.6929  2 V 1.90-2.00
O  0.8367  0.5336  0.0930  2 V 1.90-2.03
V  0.6599  0.4621  0.4028  6 O 1.90-2.11
O  0.5660  0.2715  0.1113  2 V 1.91-2.03
O  0.8127  0.4020  0.7966  1 V 1.99
O  0.8656  0.6654  0.3965  2 V 1.91-2.04
O  0.6584  0.9656  0.9013  2 V 1.90-2.00
V  0.9921  0.9921  0.0000  5 O 1.72-1.87
O  0.0643  0.7572  0.0987  2 V 1.90-2.00
O  0.1914  0.9106  0.0919  1 V 1.87
Sr  0.5677  0.5677  0.0000  12 O 2.76-2.81
O  0.4547  0.5660  0.2945  2 V 1.91-2.03
- - -

Emperor of Korea (1907-1910)

Engraving of
From Merrimon Book Reviews
The Calligrapher's Daughter

by Eugenia Kim

narrative of artistic restraint
The Japanese occupation
looms over Korea at the beginning of Najin Han's life. Although
born into an aristocratic yangban family, Najin's life is marked by
this turning point of history transforming her life from her father's
unwillingness to name his daughter. Najin's father, a respected
calligrapher and artist, protests against the changes in Korean society
and the slow deterioration of the unique Korean identity and
traditions. Raised in a family influenced both by Confucian and
Christian faiths, Najin struggles to find her own identity amid the
pressures within her family and world events over which she has little
control. When her father tries to marry her into an aristocratic
family, her mother defies tradition and sends her to the king's
court. From this moment on, Najin's life takes a turn as hopes
within her motivate her and the increasing oppression in the wake of
Japan's growing presence limit her ability to follow her
dreams. Torn between ancient traditions and a modern desire to
forge a new direction, Najin's life exemplifies patience and faith as
she faces the specific challenges of her historical time.
Eugenia Kim's debut novel THE
CALLIGRAPHER'S DAUGHTER gives readers a glimpse into a lesser
known period of Korean history through the voice of a fictional
woman. Spanning the years 1915 to 1945, Najin's life story looks
at a turbulent time of political and financial unrest and change
through the lens of the Han family. As the monarchy fades and the
the depression hits, centuries of culture and tradition disappear, not
only from political measures but also by the changing pressures as the
aristocracy's dominance gives way to a rising, economic need.
Against this historical backdrop, Eugenia Kim tells the story of a
woman born into a traditional family but also a woman determined to
realize her dreams. Despite the difficulties that her father's
goals present to her, Najin has a certain generosity of spirit in the
ways in which she describes her family. The relationship to her
father and her growth in understanding his values present some of
the most poignant moments of the narrative, particularly as she
describes her father's art.
The straightforward narrative style of THE CALLIGRAPHER'S DAUGHTER adds a
subtle beauty to this novel. On the surface, the novel relates
the events without the intensity or tension-filled emotion a reader
might expect given the historical setting. As the book unfolds,
however, the beauty of this novel lies in the restraint. Although
the narrator Najin does not hide the atrocities of the Japanese
occupation, neither does she subordinate the narrative to a political
diatribe. Indeed, some of the images achieve their power
precisely because they emerge through the process of the narrative and
the reader's imagination rather than the author overdramatizing those
moments. At times the sadness of a whole world in transition can
be evoked in the image of the father's changing relationship to his
art. Najin's and her mother's Christian faith form an integral
part of the story and yet, so does doubt. THE CALLIGRAPHER'S DAUGHTER is not
a simplistic novel of faith inspiring a person during the worst of
times nor does it use Confucianism as a simplistic opposition to
Christianity. The story of Najin's marriage also develops over
time as Najin's immediate world changes, allowing the reader to feel
the inner force of Najin's character. Eugenia Kim tells her story
from inside out as Najin's feelings and steadfastness take prominence
over actual individual events. At first glance, the initial pacing of the story
might seem slow to some readers, particularly in contrast to dramatic
works of fiction, but herein lies the power of THE CALLIGRAPHER'S DAUGHTER.
The emotions evoked emerge all the more powerfully for the author's
ability to incorporate artistic restraint and sparseness within the
narrative, allowing the images to speak for themselves. THE CALLIGRAPHER'S DAUGHTER is the
kind of novel that almost sneaks up on a reader with its beauty, but
that beauty is most striking and memorable.
Publisher: Henry
Holt (August 2009)
Reviewed by Merrimon,
Merrimon Book Reviews
Review Courtesy of Amazon Vine
